### File
........
# YNb2NO5
Calculated powder diffractogram, copper Kα. Input: a cell relaxed with PBE.
No peak broadening, texture or thermal motion is included.

Top 8 peaks for 10 to 80 degrees two-theta, sorted by position:
2θ = 23.23°, intensity 17
2θ = 28.82°, intensity 100
2θ = 30.00°, intensity 12
2θ = 34.02°, intensity 12
2θ = 47.50°, intensity 9
2θ = 49.39°, intensity 10
2θ = 50.32°, intensity 15
2θ = 60.31°, intensity 12

Structure:
```
data_YNb2NO5
_space_group_name_H-M_alt 'P 1'
_space_group_IT_number 1
_cell_length_a 5.2708
_cell_length_b 14.9913
_cell_length_c 5.9572
_cell_angle_alpha 90.00
_cell_angle_beta 90.31
_cell_angle_gamma 90.00
loop_
_space_group_symop_operation_xyz
'x,y,z'
loop_
_atom_site_label
_atom_site_fract_x
_atom_site_fract_y
_atom_site_fract_z
Y1 0.0000 0.2481 0.0000
Y2 0.0000 0.7519 0.5000
Y3 0.4806 0.2482 0.5927
Y4 0.4806 0.7518 0.0927
Nb1 0.4720 0.4131 0.1097
Nb2 0.4720 0.5869 0.6097
Nb3 0.5209 0.0825 0.1148
Nb4 0.5209 0.9175 0.6148
Nb5 0.9713 0.4180 0.4812
Nb6 0.9713 0.5820 0.9812
Nb7 0.9995 0.0761 0.4824
Nb8 0.9995 0.9239 0.9824
N1 0.3525 0.3321 0.9081
N2 0.3525 0.6679 0.4081
N3 0.8377 0.0066 0.1795
N4 0.8377 0.9934 0.6795
O1 0.1358 0.1663 0.6816
O2 0.1358 0.8337 0.1816
O3 0.1484 0.4943 0.1663
O4 0.1484 0.5057 0.6663
O5 0.2199 0.1523 0.2148
O6 0.2199 0.8477 0.7148
O7 0.2844 0.3525 0.3861
O8 0.2844 0.6475 0.8861
O9 0.3354 0.0052 0.4323
O10 0.3354 0.9948 0.9323
O11 0.6429 0.1655 0.9067
O12 0.6429 0.8345 0.4067
O13 0.6660 0.4953 0.4343
O14 0.6660 0.5047 0.9343
O15 0.7060 0.1522 0.3832
O16 0.7060 0.8478 0.8832
O17 0.7894 0.3492 0.2129
O18 0.7894 0.6508 0.7129
O19 0.8485 0.3321 0.6792
O20 0.8485 0.6679 0.1792
```

~~~~~

Structure and computed powder diffraction line list of Be22W (a PBE-relaxed structure; Cu Kα (weighted mean of Kα1 and Kα2)).

Structure:
```
data_Be22W
_chemical_formula_sum 'Be44 W2'
_cell_length_a 8.1789
_cell_length_b 8.1789
_cell_length_c 8.1789
_cell_angle_alpha 60.00
_cell_angle_beta 60.00
_cell_angle_gamma 60.00
_symmetry_space_group_name_H-M 'P 1'
_symmetry_Int_Tables_number 1
loop_
_symmetry_equiv_pos_as_xyz
'x,y,z'
loop_
_atom_site_label
_atom_site_type_symbol
_atom_site_fract_x
_atom_site_fract_y
_atom_site_fract_z
Be1 Be 0.0000 0.0000 0.0000
Be2 Be 0.0000 0.0000 0.5000
Be3 Be 0.0000 0.5000 0.0000
Be4 Be 0.0000 0.5000 0.5000
Be5 Be 0.0099 0.0099 0.7401
Be6 Be 0.0099 0.7401 0.0099
Be7 Be 0.0099 0.7401 0.7401
Be8 Be 0.1762 0.1762 0.4435
Be9 Be 0.1762 0.1762 0.7042
Be10 Be 0.1762 0.4435 0.1762
Be11 Be 0.1762 0.4435 0.7042
Be12 Be 0.1762 0.7042 0.1762
Be13 Be 0.1762 0.7042 0.4435
Be14 Be 0.2599 0.2599 0.9901
Be15 Be 0.2599 0.9901 0.2599
Be16 Be 0.2599 0.9901 0.9901
Be17 Be 0.2958 0.5565 0.8238
Be18 Be 0.2958 0.8238 0.5565
Be19 Be 0.2958 0.8238 0.8238
Be20 Be 0.4435 0.1762 0.1762
Be21 Be 0.4435 0.1762 0.7042
Be22 Be 0.4435 0.7042 0.1762
Be23 Be 0.5000 0.0000 0.0000
Be24 Be 0.5000 0.0000 0.5000
Be25 Be 0.5000 0.5000 0.0000
Be26 Be 0.5000 0.5000 0.5000
Be27 Be 0.5565 0.2958 0.8238
Be28 Be 0.5565 0.8238 0.2958
Be29 Be 0.5565 0.8238 0.8238
Be30 Be 0.7042 0.1762 0.1762
Be31 Be 0.7042 0.1762 0.4435
Be32 Be 0.7042 0.4435 0.1762
Be33 Be 0.7401 0.0099 0.0099
Be34 Be 0.7401 0.0099 0.7401
Be35 Be 0.7401 0.7401 0.0099
Be36 Be 0.8238 0.2958 0.5565
Be37 Be 0.8238 0.2958 0.8238
Be38 Be 0.8238 0.5565 0.2958
Be39 Be 0.8238 0.5565 0.8238
Be40 Be 0.8238 0.8238 0.2958
Be41 Be 0.8238 0.8238 0.5565
Be42 Be 0.9901 0.2599 0.2599
Be43 Be 0.9901 0.2599 0.9901
Be44 Be 0.9901 0.9901 0.2599
W1 W 0.3750 0.3750 0.3750
W2 W 0.6250 0.6250 0.6250
```

Main lines, by angle (2θ from 15° to 90°):
d = 4.089 Å, I = 100; d = 3.488 Å, I = 71; d = 2.892 Å, I = 21; d = 2.654 Å, I = 32; d = 2.361 Å, I = 47; d = 2.226 Å, I = 25; d = 2.045 Å, I = 19; d = 1.955 Å, I = 42; d = 1.829 Å, I = 31; d = 1.546 Å, I = 24



Structure and computed powder diffraction line list of ErTmFe8B2 (a PBE-relaxed structure; Cu Kα (weighted mean of Kα1 and Kα2)).

Structure:
```
data_ErTmFe8B2
_chemical_formula_sum 'Er1 Tm1 Fe8 B2'
_cell_length_a 5.0298
........

### Assignment
Find the line earlier on that holds "Be12 Be", then transcribe that line and all lines after it there, please.

### Done
Be12 Be 0.1762 0.7042 0.1762
Be13 Be 0.1762 0.7042 0.4435
Be14 Be 0.2599 0.2599 0.9901
Be15 Be 0.2599 0.9901 0.2599
Be16 Be 0.2599 0.9901 0.9901
Be17 Be 0.2958 0.5565 0.8238
Be18 Be 0.2958 0.8238 0.5565
Be19 Be 0.2958 0.8238 0.8238
Be20 Be 0.4435 0.1762 0.1762
Be21 Be 0.4435 0.1762 0.7042
Be22 Be 0.4435 0.7042 0.1762
Be23 Be 0.5000 0.0000 0.0000
Be24 Be 0.5000 0.0000 0.5000
Be25 Be 0.5000 0.5000 0.0000
Be26 Be 0.5000 0.5000 0.5000
Be27 Be 0.5565 0.2958 0.8238
Be28 Be 0.5565 0.8238 0.2958
Be29 Be 0.5565 0.8238 0.8238
Be30 Be 0.7042 0.1762 0.1762
Be31 Be 0.7042 0.1762 0.4435
Be32 Be 0.7042 0.4435 0.1762
Be33 Be 0.7401 0.0099 0.0099
Be34 Be 0.7401 0.0099 0.7401
Be35 Be 0.7401 0.7401 0.0099
Be36 Be 0.8238 0.2958 0.5565
Be37 Be 0.8238 0.2958 0.8238
Be38 Be 0.8238 0.5565 0.2958
Be39 Be 0.8238 0.5565 0.8238
Be40 Be 0.8238 0.8238 0.2958
Be41 Be 0.8238 0.8238 0.5565
Be42 Be 0.9901 0.2599 0.2599
Be43 Be 0.9901 0.2599 0.9901
Be44 Be 0.9901 0.9901 0.2599
W1 W 0.3750 0.3750 0.3750
W2 W 0.6250 0.6250 0.6250
```

Main lines, by angle (2θ from 15° to 90°):
d = 4.089 Å, I = 100; d = 3.488 Å, I = 71; d = 2.892 Å, I = 21; d = 2.654 Å, I = 32; d = 2.361 Å, I = 47; d = 2.226 Å, I = 25; d = 2.045 Å, I = 19; d = 1.955 Å, I = 42; d = 1.829 Å, I = 31; d = 1.546 Å, I = 24



Structure and computed powder diffraction line list of ErTmFe8B2 (a PBE-relaxed structure; Cu Kα (weighted mean of Kα1 and Kα2)).

Structure:
```
data_ErTmFe8B2
_chemical_formula_sum 'Er1 Tm1 Fe8 B2'
_cell_length_a 5.0298